-- begin --
Record 1
Dy3Y2Ru2 after structural relaxation, computed with PBE-GGA.

Geometry as CIF:
```
data_Dy3Y2Ru2
_cell_length_a 11.865
_cell_length_b 3.900
_cell_length_c 8.532
_cell_angle_alpha 90.00
_cell_angle_beta 114.05
_cell_angle_gamma 90.00
_symmetry_space_group_name_H-M 'C 1 2/m 1'
_symmetry_Int_Tables_number 12
loop_
_symmetry_equiv_pos_as_xyz
'x,y,z'
'-x,-y,-z'
'-x,y,-z'
'x,-y,z'
'x+1/2,y+1/2,z'
'-x+1/2,-y+1/2,-z'
'-x+1/2,y+1/2,-z'
'x+1/2,-y+1/2,z'
loop_
_atom_site_label
_atom_site_fract_x
_atom_site_fract_y
_atom_site_fract_z
_atom_site_occupancy
Dy1 0.000 0.000 0.000 1
Dy2 0.122 0.000 0.429 1
Y1 0.165 0.500 0.809 1
Ru1 0.177 0.500 0.224 1
```

Values from the calculation:
E_tot: -6.7951 eV per atom
energy of formation: -0.326 eV per atom

Record 2
AgC2 after structural relaxation, computed with PBE-GGA.

Geometry as CIF:
```
data_AgC2
_cell_length_a 6.2481
_cell_length_b 6.2481
_cell_length_c 3.0507
_cell_angle_alpha 90.00
_cell_angle_beta 90.00
_cell_angle_gamma 120.00
_symmetry_space_group_name_H-M 'P -6 2 m'
_symmetry_Int_Tables_number 189
_symmetry_space_group_name_Hall 'P -6 -2'
loop_
_atom_site_label
_atom_site_fract_x
_atom_site_fract_y
_atom_site_fract_z
_atom_site_occupancy
Ag1 0.0000 0.0000 0.0000 1
Ag2 0.3333 0.6667 0.5000 1
C1 0.0000 0.2710 0.5000 1
C2 0.0000 0.6556 0.0000 1
```

Values from the calculation:
excess energy over the best structure of this formula in the dataset: 2808 meV/atom
E_tot: -3.9588 eV per atom
energy of formation: 3.141 eV per atom

Record 3
UTcAsN after structural relaxation, computed with PBE-GGA.

Geometry as CIF:
```
data_UTcAsN
_cell_length_a 3.990
_cell_length_b 3.990
_cell_length_c 8.086
_cell_angle_alpha 90.00
_cell_angle_beta 90.00
_cell_angle_gamma 90.00
_symmetry_space_group_name_H-M 'P 4/n m m'
_symmetry_Int_Tables_number 129
loop_
_symmetry_equiv_pos_as_xyz
'x,y,z'
'-x,-y,-z'
'-y+1/2,x,z'
'y+1/2,-x,-z'
'-x+1/2,-y+1/2,z'
'x+1/2,y+1/2,-z'
'y,-x+1/2,z'
'-y,x+1/2,-z'
'x+1/2,-y,-z'
'-x+1/2,y,z'
'-y,-x,-z'
'y,x,z'
'-x,y+1/2,-z'
'x,-y+1/2,z'
'y+1/2,x+1/2,-z'
'-y+1/2,-x+1/2,z'
loop_
_atom_site_label
_atom_site_fract_x
_atom_site_fract_y
_atom_site_fract_z
_atom_site_occupancy
U1 0.250 0.250 0.137 1
Tc1 0.250 0.750 0.500 1
As1 0.250 0.250 0.681 1
N1 0.250 0.750 0.000 1
```

Values from the calculation:
E_tot: -9.4968 eV per atom
energy relative to the elements, uncorrected: -324.0 kJ/mol of formula units

Record 4
CrInNiRh after structural relaxation, computed with PBE-GGA.

Geometry as CIF:
```
data_CrInNiRh
_cell_length_a 6.208
_cell_length_b 6.208
_cell_length_c 6.208
_cell_angle_alpha 90.00
_cell_angle_beta 90.00
_cell_angle_gamma 90.00
_symmetry_space_group_name_H-M 'F -4 3 m'
_symmetry_Int_Tables_number 216
_symmetry_space_group_name_Hall 'F -4 2 3'
loop_
_atom_site_label
_atom_site_fract_x
_atom_site_fract_y
_atom_site_fract_z
_atom_site_occupancy
Cr1 0.000 0.000 0.000 1
In1 0.000 0.000 0.500 1
Ni1 0.250 0.250 0.750 1
Rh1 0.250 0.250 0.250 1
```

Values from the calculation:
E_tot: -6.4158 eV per atom
energy of formation: -0.042 eV per atom

Record 5
LaThRu2 after structural relaxation, computed with PBE-GGA.

Geometry as CIF:
```
data_LaThRu2
_cell_length_a 5.687
_cell_length_b 5.407
_cell_length_c 12.209
_cell_angle_alpha 90.00
_cell_angle_beta 103.63
_cell_angle_gamma 90.00
_symmetry_space_group_name_H-M 'P 1 2/c 1'
_symmetry_Int_Tables_number 13
loop_
_symmetry_equiv_pos_as_xyz
'x,y,z'
'-x,-y,-z'
'-x,y,-z+1/2'
'x,-y,z+1/2'
loop_
_atom_site_label
_atom_site_fract_x
_atom_site_fract_y
_atom_site_fract_z
_atom_site_occupancy
La1 0.193 0.126 0.141 1
Th1 0.306 0.375 0.863 1
Ru1 0.169 0.379 0.593 1
Ru2 0.334 0.133 0.420 1
```

Values from the calculation:
E_tot: -8.0284 eV per atom
energy of formation: -0.304 eV per atom

Record 6
Pm6GeIr3 after structural relaxation, computed with PBE-GGA.

Geometry as CIF:
```
data_Pm6GeIr3
_cell_length_a 11.550
_cell_length_b 4.246
_cell_length_c 12.000
_cell_angle_alpha 90.00
_cell_angle_beta 108.05
_cell_angle_gamma 90.00
-- stop --

What is needed: say how many lines of the data further above hold the word "formation", as a bare number.

4